Well thats all for now. Thanks for reading!
Love ya,
Well thats all for now. Thanks for reading!
Love ya,
They are all avalible at Fallen Angel. I have heard the bow isn't free for some people, but it was for me, but it is only one dollar so watever. The jacket and the shoes seem to have worked for everyone. Some people are saying that these Splendid, gold circle earings are free, but it didn't work for me. Maybe it will for you, but I don't think they are worth the risk. Thats all for now
Love ya,
They are very similar, huh? If you haven't got this dress you should get it now while you can because it is on SALE for only $4! One day it will be worth a TON! Here is another one:
I like this one the best. It is very sophisticated yet trendy and modern. It is also on SALE for $4! What a great deal! Well that is all I have for now! Check back later and hopefully I will have some more news for you
# Inserted here: data records
=====
Model i:
DFT (GGA-PBE) results for crystalline Sc2SbH at its relaxed geometry.

Values from the calculation:
**SG**: Cmmm, No. 65

abc: 6.329 6.329 4.029
angles: 90.00 90.00 102.65
Fractional coordinates of all 8 atoms:
Sc 0.000 0.000 0.000
Sc 0.000 0.500 0.000
Sc 0.500 0.000 0.000
Sc 0.500 0.500 0.500
Sb 0.211 0.789 0.500
Sb 0.789 0.211 0.500
H 0.299 0.299 0.000
H 0.701 0.701 0.000

***

Model ii:
DFT (GGA-PBE) results for crystalline Sc2SbH at its relaxed geometry.

Values from the calculation:
**SG**: P2_1/c, No. 14

abc: 7.064 5.918 7.068
angles: 90.00 98.97 90.00
Fractional coordinates of all 16 atoms:
Sc 0.041 0.125 0.318
Sc 0.041 0.375 0.818
Sc 0.320 0.654 0.516
Sc 0.320 0.846 0.016
Sc 0.680 0.154 0.984
Sc 0.680 0.346 0.484
Sc 0.959 0.625 0.182
Sc 0.959 0.875 0.682
Sb 0.336 0.130 0.664
Sb 0.336 0.370 0.164
Sb 0.664 0.630 0.836
Sb 0.664 0.870 0.336
H 0.185 0.665 0.764
H 0.185 0.835 0.264
H 0.815 0.165 0.736
H 0.815 0.335 0.236

***

Energies in meV per atom, measured from the most stable structure: model i 190; model ii 0.

***

Model i:
DFT (GGA-PBE) results for crystalline Sc2SbH at its relaxed geometry.

Values from the calculation:
**SG**: R-3m, No. 166

abc: 6.196 6.196 6.196
angles: 36.71 36.71 36.71
Fractional coordinates of all 4 atoms:
Sc 0.233 0.233 0.233
Sc 0.767 0.767 0.767
Sb 0.000 0.000 0.000
H 0.500 0.500 0.500

***

Model ii:
DFT (GGA-PBE) results for crystalline Sc2SbH at its relaxed geometry.

Values from the calculation:
**SG**: I-42d, No. 122

abc: 5.729 5.729 5.729
angles: 109.14 109.14 110.14
Fractional coordinates of all 8 atoms:
Sc 0.030 0.125 0.405
Sc 0.375 0.970 0.095
Sc 0.720 0.625 0.595
Sc 0.875 0.280 0.905
Sb 0.250 0.750 0.500
Sb 0.500 0.500 0.000
H 0.000 0.000 0.000
H 0.750 0.250 0.500

***

Model iii:
DFT (GGA-PBE) results for crystalline Sc2SbH at its relaxed geometry.

Values from the calculation:
**SG**: Fm-3m, No. 225

abc: 4.789 4.789 4.789
angles: 60.00 60.00 60.00
Fractional coordinates of all 4 atoms:
Sc 0.250 0.250 0.250
Sc 0.750 0.750 0.750
Sb 0.000 0.000 0.000
H 0.500 0.500 0.500

***

Energies in meV per atom, measured from the most stable structure: model i 207; model ii 0; model iii 371.

***

Model i:
DFT (GGA-PBE) results for crystalline ScSbH at its relaxed geometry.

Values from the calculation:
**SG**: P4/nmm, No. 129

abc: 3.390 3.390 9.230
angles: 90.00 90.00 90.00
Fractional coordinates of all 6 atoms:
Sc 0.250 0.250 0.129
Sc 0.750 0.750 0.871
Sb 0.250 0.250 0.664
Sb 0.750 0.750 0.336
H 0.250 0.750 0.000
H 0.750 0.250 0.000

***

Model ii:
DFT (GGA-PBE) results for crystalline ScSbH at its relaxed geometry.

Values from the calculation:
**SG**: C2/m, No. 12

abc: 3.438 3.438 9.669
angles: 91.42 91.42 75.18
Fractional coordinates of all 6 atoms:
Sc 0.242 0.242 0.372
Sc 0.758 0.758 0.628
Sb 0.269 0.269 0.845
Sb 0.731 0.731 0.155
H 0.231 0.231 0.171
H 0.769 0.769 0.829

***

Energies in meV per atom, measured from the most stable structure: model i 0; model ii 598.

***

Model i:
=====
Love ya
P.S I am working on a stardoll magazine!
What do you think of it? I think it is alright but I don't like it when stardoll does themes like this. I just want that DKNY to come out!
There is also some in the minishop. I don't really like it, but thats me. Anyway it is all kitchen stuff and I don't have a kitchen in my suite. Enjoy
Love ya ~Sara
Well also I wanted to say goodbye to Free.Stuff and Free.Things. Stardoll deleted them because they gave information on how to get free stuff. I was a part of both clubs and I am really mad they are gone! They gave a lot of useful information. I just hope they don't delete the club FREE. Well at least they can't delete my blog :).
Love Ya
[Next to the piece, the page also holds calculated crystals]
+++
No. 1
8
Lattice="5.847 -0.009 0.000 -2.880 5.089 0.000 -1.484 -2.540 5.054" Properties=species:S:1:pos:R:3 comment="HfSi2Hg (SCAN, PBEsol geometry)" raw_formation_energy_mev_per_atom=302 pbc="T T T"
Si -1.880 1.950 4.974
Si 4.105 1.860 0.080
Si -0.302 -0.675 2.447
Si 1.044 1.945 2.607
Hf 2.924 -0.004 2.527
Hf 1.484 2.540 0.000
Hg -1.440 2.544 2.527
Hg 0.000 0.000 0.000

---

No. 2
5
Lattice="-2.339 2.156 -2.463 -1.510 -3.397 -1.540 -3.099 0.671 6.815" Properties=species:S:1:pos:R:3 comment="SrAg2Se2 (SCAN, PBEsol geometry)" raw_formation_energy_mev_per_atom=-917 pbc="T T T"
Ag -3.266 -1.673 1.637
Ag -3.681 1.103 1.175
Sr 0.000 0.000 0.000
Se -3.085 -0.609 -0.889
Se -3.862 0.039 3.701

---

No. 3
16
Lattice="-5.149 1.767 0.805 -1.448 -5.533 2.887 2.796 4.010 9.088" Properties=species:S:1:pos:R:3 comment="Mg3Sc (SCAN, PBEsol geometry)" e_form_ev_per_atom=-0.01 pbc="T T T"
Sc -1.064 3.356 7.635
Sc -4.940 -0.814 4.808
Sc 1.140 1.057 7.971
Sc -2.736 -3.112 5.144
Mg -1.557 3.257 10.743
Mg -5.168 -3.474 3.140
Mg 1.368 3.717 9.640
Mg -2.243 -3.014 2.036
Mg 0.390 -1.728 9.431
Mg -2.000 -0.378 3.711
Mg -0.022 1.724 5.122
Mg -1.800 0.621 9.068
Mg -4.191 1.971 3.349
Mg -3.778 -1.480 7.658
Mg -2.948 1.264 6.225
Mg -0.853 -1.020 6.555

---

No. 4
6
Lattice="3.719 0.000 0.000 0.000 5.520 0.000 -1.860 0.000 5.825" Properties=species:S:1:pos:R:3 comment="Sc2As (SCAN, PBEsol geometry)" e_form_ev_per_atom=-1.01 pbc="T T T"
Sc 0.000 4.140 2.382
Sc 1.860 2.760 0.000
Sc 1.860 0.000 0.000
Sc 1.860 1.380 3.443
As 0.000 1.380 1.529
As 1.860 4.140 4.296

---

Number 1: M_tot 0.00 Bohr magnetons per cell. Number 2: M_tot 0.00 Bohr magnetons per cell. Number 3: M_tot 1.90 Bohr magnetons per cell. Number 4: M_tot 1.39 Bohr magnetons per cell.

=====

Here is a relaxed structure of LiIN2O from Alexandria via LeMat-Bulk. Energies are from PBE.

```
LiIN2O
1.0
3.962 0.000 0.000
0.000 3.962 0.000
0.000 0.000 4.091
O N Li I
1 2 1 1
Direct
0.000 0.000 0.500
0.000 0.500 0.000
0.500 0.000 0.000
0.500 0.500 0.500
0.000 0.000 0.000
```

Computed properties:
The calculation puts the density of states at the Fermi level at 2.590 states/eV per cell. The value obtained for the formation energy without anion corrections is 1.0884 eV/atom. As for the space-group type: P4/mmm (123). Its total magnetic moment is 0.00 μB/f.u. The density comes out at 4.6 Mg/m³.

=====

No. 1
Here is an optimized crystal structure of CaCdRh from Alexandria. Energies are from GGA-PBE.

Output
- Size of the total moment: 0.00 μB per formula unit
- SG: No. 187
- Energy of formation from the pure elements: -0.80 eV/f.u.

a b c (Å): 4.6884 4.6884 3.4807
angles (deg): 90.00 90.00 120.00
Atoms (fractional coordinates):
1 Ca 0.0000 0.0000 0.0000
2 Cd 0.6667 0.3333 0.5000
3 Rh 0.3333 0.6667 0.5000

No. 2
Here is an optimized crystal structure of Ca2CdRh from Alexandria. Energies are from GGA-PBE.

Output
- Size of the total moment: 0.00 μB per formula unit
- SG: No. 160
+++
[The calculated crystals stop here]
We all know this means a new DKNY collection is on its way! Hopefully it will be better than previous collections. Not that I didn't like them, but I am a collector of DKNY now and I want them to be really good! Anyway, I did a little research and found this picture of the Winter/Fall 2008-2009 DKNY collection:
I am not exactly a fan of this collection. I have seen better from DKNY. I do like the pinkish/red dress though. I don't think that anything from stardoll DKNY has looked like this yet so, maybe this is the new collection. But it could be the new DKNY spring 2008-2009:
It looks like this collection has a lot of lime greens and blues not to mention polka dots and stripes! I have to say I like this better than the Fall/Winter 2008-2009 collection. Now these are just a few of the outfits that I saw. To see the whole collection go to:
I can't wait to see the new collection! I sure it will be great wether it is either of these collections or not! Well hopefully soon we will know. THANKS FOR READING!
Love ya! ~Sara